┌──
{"formula": "C14H20O3", "method": "ωB97M-V/def2-TZVPD", "smiles": "C=C(C)C(=O)O[C@@]12C[C@@H]3C[C@@H](C[C@@](O)(C3)C1)C2", "gap_ev": 10.2, "multiplicity": 1, "charge": 0, "homo_ha": -0.356, "symbols": ["O", "O", "O", "C", "C", "C", "C", "C", "C", "C", "C", "C", "C", "C", "C", "C", "C", "H", "H", "H", "H", "H", "H", "H", "H", "H", "H", "H", "H", "H", "H", "H", "H", "H", "H", "H", "H"], "positions_angstrom": [[-1.792993, 2.050812, 0.436036], [2.838920, -2.396597, -0.583336], [0.168706, 1.374703, -0.437737], [-0.801120, 2.295706, -0.269073], [0.612367, 4.151799, -0.896392], [-0.638093, 3.572491, -0.997533], [-1.858522, 4.530664, -1.158604], [-0.927347, -2.327407, 1.192591], [0.376536, -2.775693, -0.725825], [1.508041, -2.096116, 1.292861], [-1.207136, -0.697938, -0.713242], [0.070682, -0.018976, 1.578778], [1.373307, -0.531153, -0.583898], [-0.991076, -2.159071, -0.389017], [0.131777, -1.524375, 1.883720], [1.554142, -1.986067, -0.158149], [0.006238, 0.031286, 0.019729], [3.064086, -3.390375, -0.598010], [0.686354, 5.207318, -1.234734], [1.429141, 3.705774, -0.487745], [-2.179450, 5.076430, -0.236402], [-1.639421, 5.286412, -1.957724], [-2.650329, 3.814102, -1.481327], [-1.846855, -1.889145, 1.677062], [-0.905662, -3.339116, 1.584755], [0.261822, -3.771519, -0.272662], [0.410873, -2.869684, -1.810801], [2.376445, -1.496313, 1.581221], [1.846291, -3.039547, 1.791391], [-1.030080, -0.561751, -1.758606], [-2.201820, -0.418531, -0.421783], [0.924750, 0.525630, 2.009543], [-0.835536, 0.389396, 1.976875], [1.386748, -0.444729, -1.667029], [2.160305, 0.173370, -0.234768], [-1.717182, -2.823189, -0.904396], [0.035088, -1.628599, 2.954229]], "forces_ev_per_a": [[1.565, 0.783, -1.361], [1.369, -1.836, -1.072], [-0.461, 2.066, -0.774], [-2.438, -1.879, 1.237], [-4.404, 1.193, -1.989], [2.484, 2.895, 2.008], [0.066, -1.395, -0.946], [-3.576, 1.423, 0.558], [-0.526, -0.118, -1.330], [0.510, 1.089, 3.980], [2.211, -0.282, 1.403], [-0.447, -1.311, -1.515], [-0.679, 0.306, 1.001], [0.779, -1.370, 2.156], [2.807, -0.150, -1.068], [-0.584, -1.008, -1.195], [1.029, 0.238, -0.550], [-1.285, 2.292, 0.311], [0.165, -0.810, 0.362], [2.234, -1.453, 0.793], [0.487, -0.800, -0.614], [-0.248, -0.786, 0.662], [-0.025, 1.159, 0.160], [0.118, -0.558, -0.753], [0.155, -0.397, -0.518], [0.734, 0.021, -0.365], [0.531, -0.130, -0.202], [-0.201, 0.584, 0.514], [-0.948, -0.013, -1.027], [-0.148, 0.407, -0.828], [-0.263, 0.557, 0.219], [-0.144, -0.201, -0.468], [-0.550, 0.351, 0.232], [-0.296, -0.087, -0.177], [-0.276, -0.810, 0.086], [0.005, 0.494, 0.735], [0.251, -0.465, 0.334]], "lowdin_charge": [0.08, -0.02, 0.01, -0.43, 0.11, -0.21, -0.06, -0.13, -0.09, -0.10, -0.04, -0.05, 0.00, -0.25, -0.26, -0.56, -0.33, 0.15, 0.08, 0.03, 0.09, 0.08, 0.08, 0.13, 0.12, 0.13, 0.13, 0.12, 0.14, 0.12, 0.12, 0.14, 0.11, 0.13, 0.15, 0.15, 0.13]}
└──
Your job: reproduce the whole of the calculation results above with every line break kept.
{"formula": "C14H20O3", "method": "ωB97M-V/def2-TZVPD", "smiles": "C=C(C)C(=O)O[C@@]12C[C@@H]3C[C@@H](C[C@@](O)(C3)C1)C2", "gap_ev": 10.2, "multiplicity": 1, "charge": 0, "homo_ha": -0.356, "symbols": ["O", "O", "O", "C", "C", "C", "C", "C", "C", "C", "C", "C", "C", "C", "C", "C", "C", "H", "H", "H", "H", "H", "H", "H", "H", "H", "H", "H", "H", "H", "H", "H", "H", "H", "H", "H", "H"], "positions_angstrom": [[-1.792993, 2.050812, 0.436036], [2.838920, -2.396597, -0.583336], [0.168706, 1.374703, -0.437737], [-0.801120, 2.295706, -0.269073], [0.612367, 4.151799, -0.896392], [-0.638093, 3.572491, -0.997533], [-1.858522, 4.530664, -1.158604], [-0.927347, -2.327407, 1.192591], [0.376536, -2.775693, -0.725825], [1.508041, -2.096116, 1.292861], [-1.207136, -0.697938, -0.713242], [0.070682, -0.018976, 1.578778], [1.373307, -0.531153, -0.583898], [-0.991076, -2.159071, -0.389017], [0.131777, -1.524375, 1.883720], [1.554142, -1.986067, -0.158149], [0.006238, 0.031286, 0.019729], [3.064086, -3.390375, -0.598010], [0.686354, 5.207318, -1.234734], [1.429141, 3.705774, -0.487745], [-2.179450, 5.076430, -0.236402], [-1.639421, 5.286412, -1.957724], [-2.650329, 3.814102, -1.481327], [-1.846855, -1.889145, 1.677062], [-0.905662, -3.339116, 1.584755], [0.261822, -3.771519, -0.272662], [0.410873, -2.869684, -1.810801], [2.376445, -1.496313, 1.581221], [1.846291, -3.039547, 1.791391], [-1.030080, -0.561751, -1.758606], [-2.201820, -0.418531, -0.421783], [0.924750, 0.525630, 2.009543], [-0.835536, 0.389396, 1.976875], [1.386748, -0.444729, -1.667029], [2.160305, 0.173370, -0.234768], [-1.717182, -2.823189, -0.904396], [0.035088, -1.628599, 2.954229]], "forces_ev_per_a": [[1.565, 0.783, -1.361], [1.369, -1.836, -1.072], [-0.461, 2.066, -0.774], [-2.438, -1.879, 1.237], [-4.404, 1.193, -1.989], [2.484, 2.895, 2.008], [0.066, -1.395, -0.946], [-3.576, 1.423, 0.558], [-0.526, -0.118, -1.330], [0.510, 1.089, 3.980], [2.211, -0.282, 1.403], [-0.447, -1.311, -1.515], [-0.679, 0.306, 1.001], [0.779, -1.370, 2.156], [2.807, -0.150, -1.068], [-0.584, -1.008, -1.195], [1.029, 0.238, -0.550], [-1.285, 2.292, 0.311], [0.165, -0.810, 0.362], [2.234, -1.453, 0.793], [0.487, -0.800, -0.614], [-0.248, -0.786, 0.662], [-0.025, 1.159, 0.160], [0.118, -0.558, -0.753], [0.155, -0.397, -0.518], [0.734, 0.021, -0.365], [0.531, -0.130, -0.202], [-0.201, 0.584, 0.514], [-0.948, -0.013, -1.027], [-0.148, 0.407, -0.828], [-0.263, 0.557, 0.219], [-0.144, -0.201, -0.468], [-0.550, 0.351, 0.232], [-0.296, -0.087, -0.177], [-0.276, -0.810, 0.086], [0.005, 0.494, 0.735], [0.251, -0.465, 0.334]], "lowdin_charge": [0.08, -0.02, 0.01, -0.43, 0.11, -0.21, -0.06, -0.13, -0.09, -0.10, -0.04, -0.05, 0.00, -0.25, -0.26, -0.56, -0.33, 0.15, 0.08, 0.03, 0.09, 0.08, 0.08, 0.13, 0.12, 0.13, 0.13, 0.12, 0.14, 0.12, 0.12, 0.14, 0.11, 0.13, 0.15, 0.15, 0.13]}